Please duplicate the whole of the entries further down with every line break kept.
........
1.
Entry from the Open Molecules 2025 dataset: a 2-piece molecular cluster, F2HOPS overall (ωB97M-V with the def2-TZVPD basis set).

Properties
gap between HOMO and LUMO (spin up / spin down): 7.966 / 7.967 eV
highest occupied orbital energy (spin up / spin down): -10.77 / -10.77 eV

Last column: natural (NBO) charge in e.
Element x y z (Å)
S1 -1.915 1.032 0.406  -0.390
P1 -0.457 -0.233 0.171  1.809
F1 -0.248 -1.258 1.413  -0.532
F2 -0.720 -1.291 -0.985  -0.532
O1 1.843 0.541 -0.235  -0.794
H1 1.497 1.210 -0.771  0.438

---

2.
Entry from the Open Molecules 2025 dataset: C26H29AsF10N4S2Sc as an isolated structure (ωB97M-V with the def2-TZVPD basis set).

Properties
gap between HOMO and LUMO (spin up / spin down): 8.000 / 5.424 eV
multiplicity: 2
highest occupied orbital energy (spin up / spin down): -7.74 / -7.77 eV

Last column: Löwdin spin population.
Element x y z (Å)
As1 -0.371 -1.033 -3.624  0.001
Sc1 -0.132 0.259 -0.153  -0.013
S1 2.306 -0.007 -1.029  0.370
S2 -2.389 0.468 0.952  0.003
F1 -1.776 3.194 -3.914  -0.005
F2 0.945 -2.031 -3.146  0.005
F3 -1.409 -2.387 -3.548  0.000
F4 0.634 0.367 -3.407  0.001
F5 2.986 3.927 -1.409  0.013
F6 -0.683 -0.843 -1.722  -0.001
F7 -1.716 0.008 -3.809  0.000
F8 -1.203 1.808 -1.653  0.007
F9 2.429 5.283 -3.625  -0.005
F10 -0.040 -1.157 -5.286  0.000
N1 0.005 1.784 2.137  0.000
N2 0.902 -1.562 1.155  0.004
N3 0.984 2.127 -0.271  0.309
N4 -1.769 -2.467 0.508  0.000
C1 -3.418 -2.766 -1.291  0.000
C2 -0.408 1.394 3.485  0.000
C3 0.857 2.876 -1.426  0.003
C4 -4.868 -0.968 -1.917  0.000
C5 -2.374 -3.169 1.636  0.000
C6 3.064 -0.626 0.398  0.027
C7 1.841 2.673 0.771  0.014
C8 0.308 4.290 -3.817  0.044
C9 4.434 -0.422 0.605  0.048
C10 2.998 -1.944 2.415  -0.006
C11 -4.260 -0.158 -0.971  0.000
C12 1.432 2.091 2.113  0.001
C13 4.358 -1.743 2.600  0.054
C14 -0.325 2.711 -2.147  0.035
C15 1.501 4.452 -3.142  -0.004
C16 -0.815 2.938 1.753  0.006
C17 -0.690 -3.207 -0.119  0.001
C18 0.716 -2.877 0.446  0.003
C19 0.238 -1.563 2.482  0.001
C20 -4.442 -2.277 -2.087  0.000
C21 -3.220 -0.632 -0.173  0.000
C22 -2.808 -1.957 -0.344  0.000
C23 1.787 3.762 -1.977  0.032
C24 -0.612 3.396 -3.302  -0.004
C25 2.337 -1.378 1.333  0.044
C26 5.077 -0.973 1.697  -0.006
H1 2.903 2.480 0.599  0.006
H2 1.717 3.760 0.779  0.004
H3 -3.048 -3.964 1.292  0.000
H4 -5.662 -0.567 -2.533  0.000
H5 -3.074 -3.786 -1.418  0.000
H6 0.782 -0.887 3.131  0.000
H7 6.136 -0.807 1.841  -0.002
H8 4.853 -2.188 3.453  0.003
H9 1.046 -3.652 1.149  0.000
H10 4.979 0.170 -0.118  0.001
H11 -0.829 -4.294 -0.026  0.000
H12 -1.411 0.968 3.454  0.000
H13 -1.608 -3.624 2.262  0.000
H14 -0.410 2.264 4.156  0.000
H15 -0.789 -1.232 2.384  0.000
H16 0.107 4.834 -4.727  0.002
H17 -1.866 2.678 1.870  0.000
H18 0.266 -2.557 2.937  0.000
H19 1.975 1.164 2.318  0.000
H20 -0.656 3.213 0.713  0.002
H21 1.723 2.810 2.898  0.000
H22 -0.590 3.802 2.395  0.000
H23 -4.894 -2.909 -2.839  0.000
H24 1.420 -2.877 -0.388  0.002
H25 -0.691 -2.988 -1.181  0.000
H26 0.275 0.663 3.908  0.000
H27 -2.946 -2.464 2.242  0.000
H28 2.450 -2.541 3.131  -0.001
H29 -4.571 0.873 -0.856  0.000

---

3.
Entry from the Open Molecules 2025 dataset: C31H31N7O3PRuS as an isolated structure (ωB97M-V with the def2-TZVPD basis set).

Properties
net charge: +2
gap between HOMO and LUMO (spin up / spin down): 7.477 / 6.483 eV
multiplicity: 6
highest occupied orbital energy (spin up / spin down): -13.83 / -14.10 eV

Last column: Löwdin spin population.
Element x y z (Å)
Ru1 -0.304 0.447 -1.611  3.425
S1 2.505 -3.559 0.397  0.002
P1 -0.062 2.826 -2.309  0.072
O1 2.175 -3.526 1.786  0.008
O2 3.863 -3.565 -0.023  0.006
O3 0.030 -1.788 -1.900  0.065
N1 -5.069 0.574 0.224  0.002
N2 1.911 0.097 -0.876  0.267
N3 1.704 -2.191 -0.321  0.035
N4 4.333 -0.569 0.337  0.036
N5 -0.375 -0.076 0.576  0.094
N6 -2.544 0.291 -0.866  0.085
N7 -0.473 -1.529 7.465  0.001
C1 1.554 -4.688 -0.532  0.002
C2 -0.158 5.196 -0.668  0.005
C3 3.042 0.235 -1.493  0.082
C4 3.238 -0.743 0.990  0.229
C5 0.725 -0.533 1.180  0.021
........
1.
Entry from the Open Molecules 2025 dataset: a 2-piece molecular cluster, F2HOPS overall (ωB97M-V with the def2-TZVPD basis set).

Properties
gap between HOMO and LUMO (spin up / spin down): 7.966 / 7.967 eV
highest occupied orbital energy (spin up / spin down): -10.77 / -10.77 eV

Last column: natural (NBO) charge in e.
Element x y z (Å)
S1 -1.915 1.032 0.406  -0.390
P1 -0.457 -0.233 0.171  1.809
F1 -0.248 -1.258 1.413  -0.532
F2 -0.720 -1.291 -0.985  -0.532
O1 1.843 0.541 -0.235  -0.794
H1 1.497 1.210 -0.771  0.438

---

2.
Entry from the Open Molecules 2025 dataset: C26H29AsF10N4S2Sc as an isolated structure (ωB97M-V with the def2-TZVPD basis set).

Properties
gap between HOMO and LUMO (spin up / spin down): 8.000 / 5.424 eV
multiplicity: 2
highest occupied orbital energy (spin up / spin down): -7.74 / -7.77 eV

Last column: Löwdin spin population.
Element x y z (Å)
As1 -0.371 -1.033 -3.624  0.001
Sc1 -0.132 0.259 -0.153  -0.013
S1 2.306 -0.007 -1.029  0.370
S2 -2.389 0.468 0.952  0.003
F1 -1.776 3.194 -3.914  -0.005
F2 0.945 -2.031 -3.146  0.005
F3 -1.409 -2.387 -3.548  0.000
F4 0.634 0.367 -3.407  0.001
F5 2.986 3.927 -1.409  0.013
F6 -0.683 -0.843 -1.722  -0.001
F7 -1.716 0.008 -3.809  0.000
F8 -1.203 1.808 -1.653  0.007
F9 2.429 5.283 -3.625  -0.005
F10 -0.040 -1.157 -5.286  0.000
N1 0.005 1.784 2.137  0.000
N2 0.902 -1.562 1.155  0.004
N3 0.984 2.127 -0.271  0.309
N4 -1.769 -2.467 0.508  0.000
C1 -3.418 -2.766 -1.291  0.000
C2 -0.408 1.394 3.485  0.000
C3 0.857 2.876 -1.426  0.003
C4 -4.868 -0.968 -1.917  0.000
C5 -2.374 -3.169 1.636  0.000
C6 3.064 -0.626 0.398  0.027
C7 1.841 2.673 0.771  0.014
C8 0.308 4.290 -3.817  0.044
C9 4.434 -0.422 0.605  0.048
C10 2.998 -1.944 2.415  -0.006
C11 -4.260 -0.158 -0.971  0.000
C12 1.432 2.091 2.113  0.001
C13 4.358 -1.743 2.600  0.054
C14 -0.325 2.711 -2.147  0.035
C15 1.501 4.452 -3.142  -0.004
C16 -0.815 2.938 1.753  0.006
C17 -0.690 -3.207 -0.119  0.001
C18 0.716 -2.877 0.446  0.003
C19 0.238 -1.563 2.482  0.001
C20 -4.442 -2.277 -2.087  0.000
C21 -3.220 -0.632 -0.173  0.000
C22 -2.808 -1.957 -0.344  0.000
C23 1.787 3.762 -1.977  0.032
C24 -0.612 3.396 -3.302  -0.004
C25 2.337 -1.378 1.333  0.044
C26 5.077 -0.973 1.697  -0.006
H1 2.903 2.480 0.599  0.006
H2 1.717 3.760 0.779  0.004
H3 -3.048 -3.964 1.292  0.000
H4 -5.662 -0.567 -2.533  0.000
H5 -3.074 -3.786 -1.418  0.000
H6 0.782 -0.887 3.131  0.000
H7 6.136 -0.807 1.841  -0.002
H8 4.853 -2.188 3.453  0.003
H9 1.046 -3.652 1.149  0.000
H10 4.979 0.170 -0.118  0.001
H11 -0.829 -4.294 -0.026  0.000
H12 -1.411 0.968 3.454  0.000
H13 -1.608 -3.624 2.262  0.000
H14 -0.410 2.264 4.156  0.000
H15 -0.789 -1.232 2.384  0.000
H16 0.107 4.834 -4.727  0.002
H17 -1.866 2.678 1.870  0.000
H18 0.266 -2.557 2.937  0.000
H19 1.975 1.164 2.318  0.000
H20 -0.656 3.213 0.713  0.002
H21 1.723 2.810 2.898  0.000
H22 -0.590 3.802 2.395  0.000
H23 -4.894 -2.909 -2.839  0.000
H24 1.420 -2.877 -0.388  0.002
H25 -0.691 -2.988 -1.181  0.000
H26 0.275 0.663 3.908  0.000
H27 -2.946 -2.464 2.242  0.000
H28 2.450 -2.541 3.131  -0.001
H29 -4.571 0.873 -0.856  0.000

---

3.
Entry from the Open Molecules 2025 dataset: C31H31N7O3PRuS as an isolated structure (ωB97M-V with the def2-TZVPD basis set).

Properties
net charge: +2
gap between HOMO and LUMO (spin up / spin down): 7.477 / 6.483 eV
multiplicity: 6
highest occupied orbital energy (spin up / spin down): -13.83 / -14.10 eV

Last column: Löwdin spin population.
Element x y z (Å)
Ru1 -0.304 0.447 -1.611  3.425
S1 2.505 -3.559 0.397  0.002
P1 -0.062 2.826 -2.309  0.072
O1 2.175 -3.526 1.786  0.008
O2 3.863 -3.565 -0.023  0.006
O3 0.030 -1.788 -1.900  0.065
N1 -5.069 0.574 0.224  0.002
N2 1.911 0.097 -0.876  0.267
N3 1.704 -2.191 -0.321  0.035
N4 4.333 -0.569 0.337  0.036
N5 -0.375 -0.076 0.576  0.094
N6 -2.544 0.291 -0.866  0.085
N7 -0.473 -1.529 7.465  0.001
C1 1.554 -4.688 -0.532  0.002
C2 -0.158 5.196 -0.668  0.005
C3 3.042 0.235 -1.493  0.082
C4 3.238 -0.743 0.990  0.229
C5 0.725 -0.533 1.180  0.021